Contents >
┌──
[1]
Below is 2 unconnected molecules or ions with the total composition C13H15N, with properties calculated with ωB97M-V with the def2-TZVPD basis set.

**SMILES string**: CC1(C)C=C1C#N.Cc1ccccc1
**LUMO energy**: 0.37 eV
**HOMO**: -9.1 eV
**Calculated total energy**: -15211.7658 eV
**Energy above the lowest of the compared OMol25 structures with the same formula, charge and spin**: 305.25 kJ/mol

Geometry as XYZ:
```
29
Properties=species:S:1:pos:R:3:forces:R:3:lowdin_charge:R:1
N -0.2921 2.8566 -1.6416 -0.025 0.050 -0.001 0.18
C -1.6547 -1.6599 -0.5665 -0.020 -0.122 0.054 -0.11
C -2.4632 0.1930 -1.8452 -0.018 -0.042 -0.102 -0.09
C -2.5485 0.2762 0.5612 -0.032 0.007 -0.034 -0.29
C -1.9745 -0.9900 0.5985 -0.096 -0.077 0.009 -0.08
C -1.8947 -1.0667 -1.7957 0.002 -0.032 -0.095 -0.10
C 1.9537 -1.0830 -0.9414 -0.090 0.050 0.039 -0.03
C 0.9681 0.4233 0.9249 -0.093 0.957 -1.348 0.11
C 2.0045 0.1845 -0.1176 -0.011 0.188 -0.150 -0.45
C -2.9021 0.9800 1.8368 -0.023 -0.036 -0.019 -0.05
C 3.3958 0.7603 0.0488 -0.143 -0.048 0.045 -0.04
C -2.7900 0.8575 -0.6750 -0.048 -0.065 0.093 -0.07
C 0.8216 1.1440 -0.1635 0.927 -1.756 1.663 -0.13
C 0.1761 2.0695 -0.9441 -0.505 0.965 -0.668 -0.18
H 0.6047 0.1795 1.8931 -0.222 -0.117 0.456 0.11
H -1.7905 -1.4597 1.5551 0.032 -0.054 0.115 0.11
H -1.6417 -1.5878 -2.7075 0.015 -0.030 -0.084 0.10
H 2.4071 -1.9076 -0.3914 0.079 -0.095 -0.001 0.08
H 3.3756 1.6556 0.6657 0.022 0.059 0.042 0.08
H -3.2328 1.8410 -0.7267 -0.017 0.128 0.010 0.11
H -3.6800 0.4307 2.3675 -0.037 0.036 0.079 0.08
H 2.5019 -0.9533 -1.8731 0.059 -0.024 -0.092 0.08
H -2.0357 1.0446 2.4938 0.034 0.048 0.093 0.07
H 0.9249 -1.3482 -1.1768 0.018 -0.024 -0.005 0.06
H -2.6517 0.6662 -2.7965 0.006 0.055 -0.102 0.11
H 4.0541 0.0293 0.5168 0.105 -0.051 0.031 0.08
H 3.8147 1.0190 -0.9228 0.075 0.011 -0.069 0.08
H -3.2622 1.9860 1.6395 -0.028 0.082 0.042 0.08
H -1.2199 -2.6485 -0.5159 0.036 -0.062 -0.002 0.10
```
Forces are in eV/Å.

[2]
Below is C13H15N3O3 in the gas phase, with properties calculated with ωB97M-V with the def2-TZVPD basis set.

**SMILES string**: NCC(=O)N[C@@H](Cc1c[nH]c2ccccc12)C(=O)O
**LUMO energy**: 0.52 eV
**HOMO**: -8.3 eV
**Calculated total energy**: -24333.6756 eV
**Energy above the lowest of the compared OMol25 structures with the same formula, charge and spin**: 498.13 kJ/mol

Geometry as XYZ:
```
34
Properties=species:S:1:pos:R:3:forces:R:3:lowdin_charge:R:1
O 2.4986 -0.2656 3.4934 -1.166 5.126 1.092 0.03
O 1.5560 1.8468 3.2136 0.108 -4.639 0.129 0.03
O 1.9842 2.4633 0.6521 -3.268 0.372 1.301 0.01
N -0.1893 -1.0476 -2.7358 1.978 4.918 -2.118 0.06
N -0.0181 1.3121 1.0468 1.488 -0.744 1.987 0.10
N 0.7648 4.7832 -0.2984 3.948 1.416 -2.981 -0.08
C -0.0328 3.6930 0.0945 -0.557 -0.137 2.076 -0.28
C -2.7460 -3.4408 -1.7100 -1.191 -0.712 -1.577 -0.13
C -2.3612 -3.5968 -0.3954 -2.299 -0.325 2.516 -0.14
C 1.5701 0.6237 2.8997 1.171 3.125 -0.605 -0.40
C -0.5016 -2.1119 -0.8221 1.427 0.183 2.911 -0.12
C -0.8458 -2.0148 -2.1302 -4.788 -1.731 -1.347 -0.27
C -2.0904 -2.6362 -2.5863 3.176 -0.227 3.027 0.01
C 0.5149 -1.0586 -0.6009 1.216 -0.285 1.506 -0.13
└──

Exercise >
What is needed: return the lines earlier on up to the one that holds "1.0468 1.488", that line included.

Reply >
[1]
Below is 2 unconnected molecules or ions with the total composition C13H15N, with properties calculated with ωB97M-V with the def2-TZVPD basis set.

**SMILES string**: CC1(C)C=C1C#N.Cc1ccccc1
**LUMO energy**: 0.37 eV
**HOMO**: -9.1 eV
**Calculated total energy**: -15211.7658 eV
**Energy above the lowest of the compared OMol25 structures with the same formula, charge and spin**: 305.25 kJ/mol

Geometry as XYZ:
```
29
Properties=species:S:1:pos:R:3:forces:R:3:lowdin_charge:R:1
N -0.2921 2.8566 -1.6416 -0.025 0.050 -0.001 0.18
C -1.6547 -1.6599 -0.5665 -0.020 -0.122 0.054 -0.11
C -2.4632 0.1930 -1.8452 -0.018 -0.042 -0.102 -0.09
C -2.5485 0.2762 0.5612 -0.032 0.007 -0.034 -0.29
C -1.9745 -0.9900 0.5985 -0.096 -0.077 0.009 -0.08
C -1.8947 -1.0667 -1.7957 0.002 -0.032 -0.095 -0.10
C 1.9537 -1.0830 -0.9414 -0.090 0.050 0.039 -0.03
C 0.9681 0.4233 0.9249 -0.093 0.957 -1.348 0.11
C 2.0045 0.1845 -0.1176 -0.011 0.188 -0.150 -0.45
C -2.9021 0.9800 1.8368 -0.023 -0.036 -0.019 -0.05
C 3.3958 0.7603 0.0488 -0.143 -0.048 0.045 -0.04
C -2.7900 0.8575 -0.6750 -0.048 -0.065 0.093 -0.07
C 0.8216 1.1440 -0.1635 0.927 -1.756 1.663 -0.13
C 0.1761 2.0695 -0.9441 -0.505 0.965 -0.668 -0.18
H 0.6047 0.1795 1.8931 -0.222 -0.117 0.456 0.11
H -1.7905 -1.4597 1.5551 0.032 -0.054 0.115 0.11
H -1.6417 -1.5878 -2.7075 0.015 -0.030 -0.084 0.10
H 2.4071 -1.9076 -0.3914 0.079 -0.095 -0.001 0.08
H 3.3756 1.6556 0.6657 0.022 0.059 0.042 0.08
H -3.2328 1.8410 -0.7267 -0.017 0.128 0.010 0.11
H -3.6800 0.4307 2.3675 -0.037 0.036 0.079 0.08
H 2.5019 -0.9533 -1.8731 0.059 -0.024 -0.092 0.08
H -2.0357 1.0446 2.4938 0.034 0.048 0.093 0.07
H 0.9249 -1.3482 -1.1768 0.018 -0.024 -0.005 0.06
H -2.6517 0.6662 -2.7965 0.006 0.055 -0.102 0.11
H 4.0541 0.0293 0.5168 0.105 -0.051 0.031 0.08
H 3.8147 1.0190 -0.9228 0.075 0.011 -0.069 0.08
H -3.2622 1.9860 1.6395 -0.028 0.082 0.042 0.08
H -1.2199 -2.6485 -0.5159 0.036 -0.062 -0.002 0.10
```
Forces are in eV/Å.

[2]
Below is C13H15N3O3 in the gas phase, with properties calculated with ωB97M-V with the def2-TZVPD basis set.

**SMILES string**: NCC(=O)N[C@@H](Cc1c[nH]c2ccccc12)C(=O)O
**LUMO energy**: 0.52 eV
**HOMO**: -8.3 eV
**Calculated total energy**: -24333.6756 eV
**Energy above the lowest of the compared OMol25 structures with the same formula, charge and spin**: 498.13 kJ/mol

Geometry as XYZ:
```
34
Properties=species:S:1:pos:R:3:forces:R:3:lowdin_charge:R:1
O 2.4986 -0.2656 3.4934 -1.166 5.126 1.092 0.03
O 1.5560 1.8468 3.2136 0.108 -4.639 0.129 0.03
O 1.9842 2.4633 0.6521 -3.268 0.372 1.301 0.01
N -0.1893 -1.0476 -2.7358 1.978 4.918 -2.118 0.06
N -0.0181 1.3121 1.0468 1.488 -0.744 1.987 0.10